== Job ==
Next, give back only the lines underneath with the word "LiV3Zn2O8" in them.

== File ==
┌──
Here is a relaxed LiV2O5 crystal from Materials Project. Energies are from PBE+U.

a = 4.9139 Å, b = 3.5676 Å, c = 11.6068 Å
α = 90.00°, β = 90.06°, γ = 90.00°
Fractional positions:
Li (0.0000, 0.0000, 0.0000)
Li (0.3552, 0.5000, 0.4992)
V (0.5389, 0.5000, 0.9115)
V (0.6060, 0.5000, 0.2096)
V (0.7489, 0.0000, 0.7099)
V (0.8158, 0.0000, 0.4116)
O (0.0787, 0.0000, 0.7038)
O (0.1497, 0.0000, 0.4405)
O (0.2056, 0.5000, 0.9410)
O (0.2763, 0.5000, 0.2028)
O (0.6277, 0.5000, 0.7417)
O (0.6428, 0.0000, 0.5632)
O (0.6704, 0.5000, 0.3851)
O (0.6842, 0.0000, 0.8852)
O (0.7133, 0.5000, 0.0632)
O (0.7269, 0.0000, 0.2417)

## Properties
Space group ... Pm (6)
Relative energy among the computed polymorphs ... 50.9 meV/atom
Formation enthalpy at 0 K ... -2.403 eV per atom
E ... -7.151 eV/atom



Here is a relaxed Li9V3W7O28 crystal from Materials Project. Energies are from PBE+U.

a = 8.5514 Å, b = 8.5514 Å, c = 8.5514 Å
α = 89.88°, β = 89.88°, γ = 89.88°
Fractional positions:
Li (0.0089, 0.2701, 0.7211)
Li (0.0089, 0.7211, 0.2701)
Li (0.2701, 0.0089, 0.7211)
Li (0.2701, 0.7211, 0.0089)
Li (0.4538, 0.7151, 0.7151)
Li (0.7151, 0.4538, 0.7151)
Li (0.7151, 0.7151, 0.4538)
Li (0.7211, 0.0089, 0.2701)
Li (0.7211, 0.2701, 0.0089)
V (0.4787, 0.9964, 0.9964)
V (0.9964, 0.4787, 0.9964)
V (0.9964, 0.9964, 0.4787)
W (0.0065, 0.7219, 0.7219)
W (0.0158, 0.0158, 0.0158)
W (0.3633, 0.3633, 0.8615)
W (0.3633, 0.8615, 0.3633)
W (0.7219, 0.0065, 0.7219)
W (0.7219, 0.7219, 0.0065)
W (0.8615, 0.3633, 0.3633)
O (0.2157, 0.7463, 0.7463)
O (0.2301, 0.9792, 0.9792)
O (0.2407, 0.4882, 0.9851)
O (0.2407, 0.9851, 0.4882)
O (0.2419, 0.2419, 0.7398)
O (0.2419, 0.7398, 0.2419)
O (0.4864, 0.4864, 0.7419)
O (0.4864, 0.7419, 0.4864)
O (0.4882, 0.2407, 0.9851)
O (0.4882, 0.9851, 0.2407)
O (0.5082, 0.7440, 0.9794)
O (0.5082, 0.9794, 0.7440)
O (0.7398, 0.2419, 0.2419)
O (0.7419, 0.4864, 0.4864)
O (0.7440, 0.5082, 0.9794)
O (0.7441, 0.9734, 0.9734)
O (0.7440, 0.9794, 0.5082)
O (0.7463, 0.2157, 0.7463)
O (0.7463, 0.7463, 0.2157)
O (0.7579, 0.7579, 0.7579)
O (0.9734, 0.7441, 0.9734)
O (0.9734, 0.9734, 0.7441)
O (0.9792, 0.2301, 0.9792)
O (0.9794, 0.5082, 0.7440)
O (0.9794, 0.7440, 0.5082)
O (0.9792, 0.9792, 0.2301)
O (0.9851, 0.2407, 0.4882)
O (0.9851, 0.4882, 0.2407)

## Properties
Space group ... R3m (160)
Formation enthalpy at 0 K ... -2.245 eV per atom
E ... -6.889 eV/atom



Here is a relaxed LiV3Zn2O8 crystal from Materials Project. Energies are from PBE+U.

a = 5.9743 Å, b = 5.9940 Å, c = 8.4463 Å
α = 89.93°, β = 89.48°, γ = 89.68°
Fractional positions:
Li (0.0000, 0.0000, 0.0000)
Li (0.4934, 0.5051, 0.4954)
V (0.2410, 0.2537, 0.7496)
V (0.2452, 0.7545, 0.7483)
V (0.4929, 0.0027, 0.0019)
V (0.7438, 0.2516, 0.2478)
V (0.7450, 0.7517, 0.2453)
V (0.9987, 0.5019, 0.4986)
Zn (0.2325, 0.0005, 0.3779)
Zn (0.2546, 0.5003, 0.1156)
Zn (0.7308, 0.5031, 0.8774)
Zn (0.7513, 0.9991, 0.6170)
O (0.0012, 0.5139, 0.7353)
O (0.0269, 0.9905, 0.7468)
O (0.2184, 0.2782, 0.5065)
O (0.2272, 0.7335, 0.5128)
O (0.2560, 0.2323, 0.9822)
O (0.2597, 0.7678, 0.9797)
O (0.4587, 0.5129, 0.7436)
O (0.4783, 0.9940, 0.7530)
O (0.5195, 0.0018, 0.2525)
O (0.5295, 0.5033, 0.2492)
O (0.7369, 0.2408, 0.0231)
O (0.7378, 0.7631, 0.0237)
O (0.7580, 0.2682, 0.4762)
O (0.7651, 0.7282, 0.4771)
O (0.9592, 0.0004, 0.2490)
O (0.9768, 0.5012, 0.2565)

## Properties
Space group ... P1 (1)
Relative energy among the computed polymorphs ... 5.0 meV/atom
Formation enthalpy at 0 K ... -2.315 eV per atom
E ... -6.648 eV/atom



Here is a relaxed Li3V8ZnO16 crystal from Materials Project. Energies are from PBE+U.

a = 5.9597 Å, b = 5.9597 Å, c = 8.4218 Å
α = 90.00°, β = 90.00°, γ = 90.00°
Fractional positions:
Li (0.0000, 0.0000, 0.0000)
Li (0.0000, 0.5000, 0.2485)
Li (0.5000, 0.0000, 0.7515)
V (0.0000, 0.2427, 0.6258)
V (0.0000, 0.7573, 0.6258)
V (0.2427, 0.0000, 0.3742)
V (0.2462, 0.5000, 0.8788)
V (0.5000, 0.2462, 0.1212)
V (0.5000, 0.7538, 0.1212)
V (0.7538, 0.5000, 0.8788)
V (0.7573, 0.0000, 0.3742)
└──

== Completed ==
Here is a relaxed LiV3Zn2O8 crystal from Materials Project. Energies are from PBE+U.